## Wanted
Count the lines below that contain the word "species" and give the number alone.

## Source
┌──
Density functional theory data (wB97M-V/def2-TZVPD) for a cluster of 2 separate species, C6H7N in total in a non-equilibrium geometry.

Summary:
LUMO ... 0.65 eV
Relative energy (zero: lowest compared OMol25 entry of this formula, charge and spin) ... 7.1196 eV
HOMO energy ... -8.48 eV
Maximum force ... 7.20 eV/Å

Element x y z (Å)
C 1.371 -0.869 0.499
C -3.248 -0.804 -0.079
C -2.023 -0.316 0.423
C 0.063 -0.368 0.383
C 1.026 0.462 0.067
C 1.642 1.578 -0.685
N 2.071 -1.784 0.921
H -3.298 -1.692 -0.847
H -4.049 -0.316 0.333
H -2.073 0.448 1.133
H 2.085 0.998 -1.473
H 2.424 2.138 -0.272
H 0.903 2.281 -1.136
H 3.108 -1.754 0.734

***

Density functional theory data (wB97M-V/def2-TZVPD) for a structure of composition C5H11NOS in a non-equilibrium geometry.

Summary:
LUMO ... 0.64 eV
Relative energy (zero: lowest compared OMol25 entry of this formula, charge and spin) ... 4.5264 eV
HOMO energy ... -8.88 eV
Maximum force ... 3.60 eV/Å

Element x y z (Å)
C 0.201 1.221 1.916
C 0.266 -0.291 1.529
C -0.772 -1.394 0.197
C 0.519 -0.553 0.101
C 0.697 0.479 -0.992
H -1.933 1.203 1.640
H -1.366 2.071 0.351
H 1.059 1.799 1.531
H 0.423 1.393 2.941
H 0.872 -1.043 2.147
H -1.617 -1.284 -0.702
H -0.699 -2.537 0.442
H 1.360 -1.068 -0.266
H 1.703 1.005 -0.881
H -0.219 1.196 -0.962
H 1.411 0.692 -3.136
N -1.149 1.775 1.389
O -1.188 -0.794 1.487
S 0.693 -0.392 -2.577

***

Density functional theory data (wB97M-V/def2-TZVPD) for a structure of composition C38H39Cl2I2NO8PY.

Summary:
LUMO ... -0.18 eV
Relative energy (zero: lowest compared OMol25 entry of this formula, charge and spin) ... 0.2131 eV
HOMO energy ... -7.63 eV
Maximum force ... 0.61 eV/Å

Element x y z (Å)
Y -0.376 -0.164 0.257
C 0.896 3.093 2.679
C 1.728 2.059 1.958
C 2.321 2.404 0.725
C 2.193 3.835 0.261
C 3.096 1.464 0.035
C 3.637 1.731 -1.347
C 3.349 0.215 0.620
C 4.227 -0.799 -0.058
C 2.805 -0.110 1.864
C 3.102 -1.463 2.452
C 1.987 0.812 2.538
C 1.475 0.460 3.914
H 0.090 2.641 3.253
H 0.435 3.790 1.986
H 1.508 3.673 3.378
H 1.166 4.109 0.014
H 2.820 4.059 -0.595
H 2.506 4.507 1.064
H 4.729 1.711 -1.374
H 3.316 2.684 -1.754
H 3.280 0.957 -2.031
H 5.189 -0.883 0.457
H 4.432 -0.552 -1.094
H 3.769 -1.788 -0.043
H 2.671 -2.254 1.833
H 2.691 -1.587 3.448
H 4.178 -1.640 2.504
H 0.830 1.224 4.336
H 2.313 0.334 4.605
H 0.924 -0.478 3.900
Cl -3.878 -3.329 -5.658
C -3.134 -2.286 -4.485
C -2.350 -1.213 -4.920
C -1.742 -0.376 -4.019
C -1.878 -0.580 -2.625
O -1.290 0.194 -1.774
C -2.703 -1.663 -2.204
C -2.953 -1.923 -0.810
O -2.556 -1.263 0.151
C -3.313 -2.509 -3.145
H -2.226 -1.054 -5.984
H -1.129 0.447 -4.360
H -3.586 -2.804 -0.615
H -3.924 -3.336 -2.805
I -0.021 -4.517 2.952
C -1.315 -2.943 3.341
C -2.418 -3.136 4.193
C -3.290 -2.121 4.473
I -4.899 -2.499 5.743
C -3.095 -0.837 3.890
C -3.919 0.287 4.115
C -3.647 1.470 3.484
C -2.562 1.533 2.596
N -1.767 0.512 2.365
C -1.999 -0.655 3.023
C -1.066 -1.721 2.749
O -0.067 -1.469 1.966
H -2.565 -4.116 4.626
H -4.762 0.201 4.788
H -4.256 2.348 3.642
H -2.349 2.452 2.061
C -1.778 5.372 -0.150
O -1.225 4.116 0.275
P -1.422 2.764 -0.585
O -3.032 2.823 -0.687
C -3.756 1.927 -1.543
O -1.048 3.196 -2.101
C 0.247 2.872 -2.622
H -1.234 5.742 -1.018
H -1.660 6.060 0.683
H -2.832 5.260 -0.393
H -4.769 2.319 -1.603
H -3.773 0.923 -1.116
H -3.309 1.895 -2.535
H 0.138 2.762 -3.700
H 0.616 1.931 -2.210
H 0.946 3.680 -2.409
Cl 4.164 -5.997 -4.371
C 3.231 -4.850 -3.458
C 2.152 -5.299 -2.711
C 1.411 -4.378 -1.990
C 1.754 -3.030 -2.012
C 2.840 -2.602 -2.765
C 3.584 -3.510 -3.498
C 0.938 -2.057 -1.231
O 1.364 -0.861 -1.078
O -0.155 -2.413 -0.737
H 1.905 -6.351 -2.703
H 0.560 -4.688 -1.399
H 3.089 -1.549 -2.773
H 4.427 -3.196 -4.096

***

Density functional theory data (wB97M-V/def2-TZVPD) for the molecule C3H7NOS2 in a non-equilibrium geometry.

Summary:
SMILES ... NC(=O)CCSS
LUMO ... 0.52 eV
Relative energy (zero: lowest compared OMol25 entry of this formula, charge and spin) ... 0.5532 eV
HOMO energy ... -9.28 eV
Maximum force ... 3.04 eV/Å

Element x y z (Å)
└──

## Here it is
1